Photos, instruction manuals, brochures and important news need to be protected. Why risk damaging your high end prints by packaging them by hand and with material that can harm the product? After spending time and energy to produce a high-quality print, using improper packing can lead to you having to re-print the work due to damage. Our favorite solution in the print industry? Banding!
With our extensive experience in the graphics industry and well-founded know-how, we provide customized solutions for each order so that printed stacks of material can be banded efficiently and labeled online at the same time. The latest ATS banding technology combined with a thermal transfer printer convincingly fulfills the demands of the market.

With a minimum of material, you can package products expertly, gently strap goods and bundle items while adding extra marketing value. That’s banding technology in a nutshell. Find four of the many benefits below:
1. It’s Damage FREE!
When packaging your printed products, the product should remain damage free. Sadly, many low-end packaging solutions, such as strapping, can damage the edges of the product. Banding provides a secure hold on the product without damaging the edges. Because bands have a wider surface area and wraps around printed edges more smoothly than strapping it delicately, yet securely unitizes.
2. Banding is Highly Versatile.
There are more options while banding. Whether you’re looking for a stand-alone machine or a fully automated system, banding has the solution for you. Our banding machines can be highly customized to fit your exact needs. When banding high quality printed products, band tension is an important aspect to consider to make sure there is a secure hold and maintain the integrity of the product.
3. Various Material Options.
Banding material options are endless. Choosing material is just as important as picking the perfect machine. Some of our favorite options are paper, plastic, and customized pre-printed bands. Here are some examples:
<<<
No. 1
Below is a cluster of 2 separate species, C2H8N2O in total in a non-equilibrium geometry, with properties calculated with ωB97M-V/def2-TZVPD.

Atoms and positions in Å:
C  -0.62  -0.60  1.37
C  -1.49  0.48  1.43
N  -2.38  0.96  0.55
N  -0.22  -1.08  0.08
H  -0.23  -1.10  2.29
H  -1.42  1.30  2.19
H  -2.61  0.22  -0.13
H  -3.22  1.31  1.06
H  -1.08  -0.77  -0.31
H  0.13  -2.10  0.11
H  3.67  1.13  -2.57
H  3.70  -0.14  -3.42
O  3.99  0.21  -2.56

**ΔE to the lowest compared entry with this formula, charge and spin**: 169.3 kJ/mol
**Charge**: +1
**LUMO (spin up / spin down)**: -4.27 / -6.97 eV
**Strongest force on any atom**: 5.0 eV/A
**Spin multiplicity**: 2


No. 2
Below is a cluster of 2 separate species, C2H8N2O2 in total, with properties calculated with ωB97M-V/def2-TZVPD.

Atoms and positions in Å:
C  0.10  -0.04  2.08
N  -0.05  0.04  0.65
C  -0.99  0.83  0.07
N  -0.86  0.86  -1.30
O  -1.86  1.45  0.67
H  0.11  -1.09  2.38
H  -0.71  0.55  2.51
H  1.04  0.39  2.44
H  0.69  -0.29  0.03
H  -0.42  0.02  -1.67
H  -1.61  1.30  -1.81
H  1.28  -2.07  -1.75
H  1.92  -0.86  -2.52
O  1.34  -1.09  -1.76

**ΔE to the lowest compared entry with this formula, charge and spin**: 0.0 kJ/mol
**Charge**: -1
**LUMO (spin up / spin down)**: 3.82 / 3.66 eV
**Strongest force on any atom**: 0.6 eV/A
**Spin multiplicity**: 2


No. 3
Below is a cluster of 2 separate species, C2H8N2O2 in total, with properties calculated with ωB97M-V/def2-TZVPD.

Atoms and positions in Å:
C  1.92  -0.21  0.07
O  0.75  -0.87  -0.30
H  -0.10  -0.67  -1.50
H  2.37  -0.65  0.98
H  2.68  -0.25  -0.72
H  1.75  0.86  0.29
C  -1.08  0.07  -0.26
N  -0.87  1.37  0.06
N  -1.83  -0.69  0.59
O  -1.07  -0.26  -1.55
H  -0.31  1.88  -0.61
H  -0.71  1.62  1.02
H  -1.79  -1.67  0.35
H  -1.71  -0.53  1.58

**ΔE to the lowest compared entry with this formula, charge and spin**: 209.5 kJ/mol
**Charge**: 0
**LUMO**: 0.67 eV
**Strongest force on any atom**: 0.2 eV/A
**Spin multiplicity**: 1


Among the records above, which one has the highest ΔE to the lowest compared entry with this formula, charge and spin?
number 3


Please write out number 3 again, unchanged.
Below is a cluster of 2 separate species, C2H8N2O2 in total, with properties calculated with ωB97M-V/def2-TZVPD.

Atoms and positions in Å:
C  1.92  -0.21  0.07
O  0.75  -0.87  -0.30
H  -0.10  -0.67  -1.50
H  2.37  -0.65  0.98
H  2.68  -0.25  -0.72
H  1.75  0.86  0.29
C  -1.08  0.07  -0.26
N  -0.87  1.37  0.06
N  -1.83  -0.69  0.59
O  -1.07  -0.26  -1.55
H  -0.31  1.88  -0.61
H  -0.71  1.62  1.02
H  -1.79  -1.67  0.35
H  -1.71  -0.53  1.58

**ΔE to the lowest compared entry with this formula, charge and spin**: 209.5 kJ/mol
**Charge**: 0
**LUMO**: 0.67 eV
**Strongest force on any atom**: 0.2 eV/A
**Spin multiplicity**: 1


Look up the ΔE to the lowest compared entry with this formula, charge and spin of the first one.
169.3 kJ/mol

~~~~~

Entry a
>>>
### The data records stop here
- Paper: Paper is great for low-tension banding needs and can be easily removed without the use of a cutting tool. Paper bands are available in both white and brown.
- Plastic: Plastic banding is available in a variety of colors, including fully transparent. This provides a more secure hold than paper. Transparent film allows for maximum product viability.
- Pre-printed: Pre-printed material can be used as a marketing tool. This is a way to place your brand and logo in front of consumers enhancing your branding with banding.
4. Variable Data Printing.
When printing for a variety of clients, keeping track of orders can be challenging. One of the customization options is an online printer. This allows you to print variable data such as unique barcode identification metrics, quantity, and various other details directly on the band.
Interested in see more amount banding? Learn more about Felins here or contact us!